Amount of data in each backup
Data change per backup (deduplication ratio)
Number of D2D systems replicating
Number of concurrent replication jobs from each source
Number of concurrent replication jobs to each target
As a general rule of thumb, however, a minimum bandwidth of 2 Mb/s per replication job should be allowed.
For example, if a replication target is capable of accepting 8 concurrent replication jobs (HP D2D4112) and
there are enough concurrently running source jobs to reach that maximum, the WAN link needs to be able to
provide 16 Mb/s to ensure that replication will run correctly at maximum efficiency – below this threshold
replication jobs will begin to pause and restart due to link contention. It is important to note that this minimum
value does not ensure that replication will meet the performance requirements of the replication solution, a lot
more bandwidth may be required to deliver optimal performance.
Seeding and why it is required
One of the benefits of deduplication is the ability to identify unique data, which then enables us to replicate
between a source and a target D2D, only transferring the unique data identified. This process only requires low
bandwidth WAN links, which is a great advantage to the customer because it delivers automated disaster
recovery in a very cost-effective manner.
However prior to being able to replicate only unique data between source and target D2D, we must first ensure
that each site has the same hash codes or “bulk data” loaded on it – this can be thought of as the reference data
against which future backups are compared to see if the hash codes exist already on either source or target. The
process of getting the same bulk data or reference data loaded on the D2D source and D2D target is known as
Seeding is generally is a one-time operation which must take place before steady-state, low bandwidth
replication can commence. Seeding can take place in a number of ways:
Over the WAN link – although this can take some time for large volumes of data
Using co-location where two devices are physically in the same location and can use a GbE replication
link for seeding. After seeding is complete, one unit is physically shipped to its permanent destination.
Using a form of removable media (physical tape or portable USB disks) to “ship data” between sites.
Once seeding is complete there will typically be a 90+% hit rate, meaning most of the hash codes are already
loaded on the source and target and only the unique data will be transferred during replication.
It is good practice to plan for seeding time in your D2D deployment plan as it can sometimes be very time
consuming or manually intensive work.
Between two parts of the article: records of molecules >
+++
Entry 1:
Below is one molecule with the formula C22H25N3O, with properties calculated with ωB97M-V/def2-TZVPD.

Positions of all 51 atoms, in Å:
C1 -6.3231 -0.2474 -0.9328
H1 -7.3380 0.1224 -0.7963
O1 -5.6000 0.1955 0.1885
C2 -4.2806 -0.1292 0.2778
C3 -3.5761 -0.8658 -0.6416
C4 -2.2076 -1.1380 -0.4410
C5 -1.4542 -1.8869 -1.3686
C6 -0.1262 -2.1277 -1.1653
C7 0.5352 -1.6299 -0.0198
C8 -0.1868 -0.9097 0.9051
C9 -1.5541 -0.6482 0.7186
C10 -2.3083 0.1038 1.6478
C11 -3.6284 0.3577 1.4356
H2 -4.2158 0.9319 2.1347
H3 -1.8160 0.4790 2.5333
H4 0.2954 -0.5368 1.7930
C12 1.9578 -1.8630 0.1543
C13 2.9622 -1.0947 0.7353
C14 4.1317 -1.8481 0.5485
N1 3.8837 -2.9824 -0.0774
N2 2.5782 -2.9736 -0.3204
H5 2.1473 -3.7626 -0.7751
H6 5.1309 -1.6026 0.8505
C15 2.8677 0.2527 1.3725
N3 1.9971 1.1274 0.6175
C16 1.6568 2.3728 1.3027
C17 1.7641 3.4701 0.2388
C18 2.9258 2.9412 -0.5971
H7 3.0286 3.4379 -1.5595
C19 2.4852 1.4816 -0.7161
H8 3.2914 0.8092 -1.0230
C20 1.3224 1.4040 -1.7132
C21 0.1180 2.1623 -1.1594
H9 -0.3064 1.5757 -0.3454
C22 0.5108 3.5441 -0.6359
H10 -0.3191 3.9639 -0.0628
H11 0.7107 4.2180 -1.4729
H12 -0.6483 2.2621 -1.9309
H13 1.0449 0.3631 -1.8816
H14 1.6427 1.8309 -2.6660
H15 3.8695 3.0237 -0.0538
H16 1.9660 4.4456 0.6878
H17 0.6507 2.3046 1.7278
H18 2.3609 2.5811 2.1212
H19 3.8907 0.6615 1.4828
H20 2.4494 0.1546 2.3818
H21 0.4365 -2.6807 -1.9048
H22 -1.9452 -2.2636 -2.2550
H23 -4.0427 -1.2523 -1.5348
H24 -5.9112 0.1599 -1.8620
H25 -6.3411 -1.3406 -0.9926

Calculated values
SMILES   COc1ccc2cc(-c3[nH]ncc3CN3C[C@@H]4CCC[C@H]3C4)ccc2c1
Gap between HOMO and LUMO   8.3 eV
2S+1   1



Entry 2:
Below is one molecule with the formula C4H9N, with properties calculated with ωB97M-V/def2-TZVPD.

Positions of all 14 atoms, in Å:
N1 -0.7280 1.0453 -1.9074
C1 -0.7763 0.4552 -0.5490
C2 0.1651 -1.2524 1.7789
C3 1.0584 -0.5473 0.8332
C4 0.6548 0.4161 0.0009
H1 -1.5389 1.6501 -2.0072
H2 -0.9423 0.4022 -2.6650
H3 -1.0947 -0.5845 -0.5618
H4 -1.4049 1.1727 -0.0214
H5 -0.5627 -0.6872 2.3381
H6 -0.4241 -2.0309 1.2511
H7 0.6786 -1.9573 2.4392
H8 2.0431 -0.9323 0.5777
H9 1.3614 0.9132 -0.6520

Calculated values
SMILES   C/C=C\CN
Gap between HOMO and LUMO   9.9 eV
2S+1   1



Entry 3:
Below is C19H21HgIN2O3S as an isolated structure, with properties calculated with ωB97M-V/def2-TZVPD.

Positions of all 48 atoms, in Å:
C1 0.6805 -1.4632 -0.6273
C2 -2.0788 -0.6218 0.1686
H1 0.5939 -1.9910 -1.5827
H2 0.2074 -1.9827 0.2116
H3 1.6936 -1.1233 -0.3850
H4 -2.9287 0.0475 0.0301
H5 -2.1653 -1.5984 -0.3126
H6 -1.7352 -0.6686 1.2143
C3 2.2535 0.9391 -2.4776
C4 3.1280 1.6023 -3.3439
C5 2.7784 2.8940 -3.7639
C6 1.5812 3.4833 -3.3394
H7 2.4148 -0.0833 -2.1243
H8 4.0451 1.1022 -3.6593
H9 3.4271 3.4546 -4.4300
H10 1.2520 4.4805 -3.6406
N1 1.1420 1.5425 -2.0448
C7 0.7504 2.7669 -2.4633
C8 -0.5512 3.2804 -1.9732
N2 -1.2958 2.4692 -1.1879
C9 -2.5122 2.7972 -0.7376
C10 -2.2832 4.9482 -1.7728
C11 -3.0477 4.0604 -1.0014
H11 -3.0359 2.0312 -0.1593
H12 -4.0283 4.3160 -0.5980
C12 -1.0338 4.5637 -2.2728
+++
The article goes on >
During the seeding process it is recommended that no other operations are taking place on the source D2D, such
as further backups or tape copies. It is also important to ensure that the D2D has no failed disks and that RAID
parity initialization is complete because these will impact performance.
When seeding over fast networks (co-located D2D devices) it should be expected that performance to replicate a
cartridge or file is similar to the performance of the original backup. If, however, a lot of replication jobs are
running to a single target appliance from several source appliances, performance will be reduced due to the
amount of disk activity required on the target system.
Replication models and seeding
The diagrams in Replication usage models starting on page 49 indicate the different replication models
supported by HP D2D Backup Systems; the complexity of the replication models has a direct influence on which
=====
{
  "formula": "C13H17AsMnNO10S",
  "method": "the ωB97M-V functional and the def2-TZVPD basis",
  "symbols": ["Mn", "O", "As", "O", "O", "C", "C", "C", "C", "C", "C", "S", "O", "O", "O", "H", "H", "H", "H", "H", "C", "C", "O", "O", "H", "H", "H", "O", "C", "O", "C", "N", "C", "C", "C", "H", "H", "H", "H", "H", "H", "H", "H", "H"],
  "positions_angstrom": [[0.504700, -0.526956, -0.751602], [0.090151, 3.243940, 0.623719], [0.245800, 1.703236, 1.464316], [-0.272440, 1.907549, 2.996614], [-0.564213, 0.554107, 0.517781], [2.174578, 1.362697, 1.456702], [2.691203, 1.299696, 2.748875], [4.028626, 1.012913, 2.974301], [4.874429, 0.780959, 1.903265], [4.381450, 0.847686, 0.611204], [3.043717, 1.137886, 0.385113], [2.554467, 1.138666, -1.330978], [2.422790, -0.284805, -1.723856], [3.542684, 1.879927, -2.059413], [1.179582, 1.677041, -1.337635], [0.413309, 3.089761, -0.278944], [2.008469, 1.471701, 3.572612], [4.406660, 0.964043, 3.987830], [5.919184, 0.550242, 2.069712], [5.035169, 0.679388, -0.233982], [0.370192, -3.158906, 2.111929], [0.558276, -2.219780, 0.951976], [-0.152610, -2.322675, -0.090692], [1.424114, -1.313954, 1.009285], [-0.509972, -3.781442, 1.974105], [0.283846, -2.574840, 3.027126], [1.253043, -3.792394, 2.204550], [-3.075400, -1.305836, -2.455721], [-2.117948, -0.463370, -2.090756], [-0.950053, -0.727123, -2.291429], [-2.618848, 0.805346, -1.417033], [-4.045075, 0.966876, -1.736650], [-4.082086, 1.746072, -2.990427], [-2.769054, 2.557281, -3.075233], [-1.917559, 2.074279, -1.887875], [-2.455664, 0.628151, -0.349151], [-4.488304, 1.485674, -0.989711], [-3.907093, -0.823074, -2.242775], [-4.980776, 2.362030, -3.011701], [-4.150192, 1.048325, -3.828043], [-2.955039, 3.629385, -3.018063], [-2.265278, 2.368504, -4.022988], [-1.939201, 2.792723, -1.067774], [-0.874406, 1.903459, -2.136961]],
  "forces_ev_per_a": [[-0.29, -0.11, 0.08], [-0.12, 0.15, -0.01], [-0.12, -0.26, -0.22], [0.07, -0.05, -0.10], [-0.05, 0.24, 0.48], [0.10, -0.02, 0.08], [-0.01, 0.03, -0.03], [-0.04, 0.01, 0.01], [0.06, -0.01, -0.01], [0.04, 0.03, 0.02], [-0.04, 0.08, 0.06], [-0.26, -0.46, -0.03], [0.37, -0.01, 0.05], [0.04, 0.05, -0.06], [0.09, 0.09, -0.07], [0.05, -0.04, 0.03], [0.01, 0.00, 0.00], [0.00, 0.00, 0.02], [0.01, 0.00, -0.01], [-0.01, 0.01, -0.04], [0.03, -0.03, 0.01], [0.18, -0.03, 0.04], [-0.18, 0.00, -0.08], [0.12, 0.11, -0.08], [-0.01, 0.01, -0.03], [-0.01, 0.01, 0.00], [0.02, 0.00, 0.00], [0.12, 0.07, -0.14], [-0.14, 0.06, -0.15], [0.25, 0.15, 0.14], [-0.09, -0.23, 0.14], [0.03, 0.02, -0.02], [-0.04, 0.03, 0.00], [0.00, 0.02, -0.02], [-0.05, 0.07, 0.01], [-0.01, 0.10, -0.07], [-0.01, -0.05, -0.01], [-0.08, -0.01, 0.09], [0.01, 0.02, -0.01], [0.00, 0.00, -0.02], [0.00, 0.01, 0.00], [0.00, -0.01, -0.02], [0.02, -0.02, -0.02], [-0.04, -0.02, -0.03]],
  "spin_multiplicity": 2,
  "de_lowest_ev": 0.379,
  "total_charge": -1,
  "homo_energy_ev": [-5.41, -4.90],
  "total_energy_ha": -5097.8626,
  "homo_lumo_gap_ev": [8.125, 7.615]
}


{
=====
The piece goes on:
seeding process is best. For example an Active – Passive replication model can easily use co-location to quickly
********
Entry 1:
69
Properties=species:S:1:pos:R:3 method="wB97M-V/def2-TZVPD" charge=+2 multiplicity=1 orbital_gap_ev=7.044
Zr -0.77 -0.45 -1.01
C -0.40 -1.08 4.15
C -0.33 -1.47 2.68
C 1.11 -1.32 2.18
P -1.50 -0.53 1.61
C -3.16 -1.07 2.18
C -3.52 -2.39 1.50
C -4.28 -0.04 2.05
C -1.18 1.23 1.94
C -1.53 1.86 3.13
C -1.18 3.19 3.35
C -0.45 3.88 2.39
C -0.10 3.27 1.19
C -0.47 1.95 0.96
N -0.17 1.24 -0.23
C 0.34 1.79 -1.44
C -0.15 2.99 -1.97
C 0.29 3.41 -3.21
C 1.17 2.63 -3.96
C 1.60 1.41 -3.48
C 1.21 0.97 -2.21
P 1.79 -0.62 -1.53
C 3.44 -0.24 -0.81
C 4.16 -1.46 -0.23
C 3.36 0.91 0.19
C 1.91 -1.82 -2.91
C 0.67 -1.69 -3.81
C 1.95 -3.23 -2.30
H 0.21 -1.78 4.73
H -1.41 -1.13 4.57
H 0.00 -0.08 4.31
H -0.65 -2.51 2.56
H 1.40 -0.27 2.20
H 1.24 -1.70 1.16
H 1.79 -1.87 2.82
H -2.99 -1.27 3.24
H -3.75 -2.25 0.44
H -4.40 -2.82 1.98
H -2.72 -3.14 1.57
H -4.55 0.14 1.01
H -4.04 0.91 2.51
H -5.16 -0.44 2.56
H -2.08 1.33 3.89
H -1.46 3.67 4.27
H -0.16 4.90 2.57
H 0.47 3.81 0.45
H -0.86 3.57 -1.41
H -0.06 4.35 -3.61
H 1.51 2.98 -4.93
H 2.27 0.81 -4.08
H 3.98 0.10 -1.70
H 3.59 -1.93 0.57
H 5.11 -1.12 0.20
H 4.39 -2.21 -0.98
H 2.89 0.59 1.12
H 2.81 1.77 -0.20
H 4.37 1.24 0.43
H 2.82 -1.64 -3.48
H -0.27 -1.54 -3.24
H 0.52 -2.61 -4.37
H 0.73 -0.85 -4.50
H 0.99 -3.48 -1.84
H 2.72 -3.37 -1.55
H 2.12 -3.96 -3.10
O -3.24 0.34 -0.86
Cl -3.13 -0.29 -2.16
O -4.26 -0.29 -2.97
O -2.59 -1.65 -1.86
O -1.93 0.37 -2.76

=====

Entry 2:
88
Properties=species:S:1:pos:R:3 method="wB97M-V/def2-TZVPD" charge=-1 multiplicity=1 orbital_gap_ev=6.575
C -2.41 1.39 2.10
C -0.93 1.35 1.74
C -0.79 1.08 0.27
C 0.63 0.96 -0.25
Nb 2.12 -0.41 0.79
C 4.02 0.57 0.02
C 4.45 0.17 -1.38
C 3.72 0.89 -2.47
C 4.29 0.50 -3.83
C 3.78 2.39 -2.34
H -2.56 1.76 3.09
H -2.95 1.97 1.38
H -2.79 0.39 2.09
H -0.49 0.59 2.34
H -0.51 2.29 2.01
H -1.39 0.22 0.02
H -1.27 1.92 -0.22
H 1.06 1.93 -0.39
H 0.55 0.54 -1.25
H 2.21 -1.69 -0.52
H 3.07 -1.57 1.85
H 2.21 0.70 2.26
H 0.65 -1.25 1.49
H 4.03 1.64 0.12
H 4.80 0.23 0.68
H 5.50 0.40 -1.50
H 4.34 -0.89 -1.53
H 2.70 0.59 -2.44
H 4.90 1.29 -4.22
H 3.51 0.35 -4.54
H 4.88 -0.38 -3.77
H 3.28 2.82 -3.19
H 4.79 2.73 -2.38
H 3.27 2.75 -1.47
C -7.62 1.38 0.16
C -8.40 0.11 -0.22
C -7.86 -1.20 0.33
F -6.61 -1.45 -0.13
F -8.66 -2.22 -0.07
F -8.53 0.04 -1.56
F -9.65 0.26 0.31
O -6.69 1.86 -0.77
C -5.42 1.33 -0.78
C -5.12 0.64 -2.11
F -6.00 -0.36 -2.32
F -3.88 0.11 -2.06
F -5.23 0.52 0.27
F -4.56 2.36 -0.66
H -8.36 2.17 0.23
H -7.17 1.29 1.15
H -7.84 -1.19 1.42
H -5.18 1.35 -2.93
C 8.11 2.06 -2.57
C 8.97 0.88 -2.10
C 9.71 1.05 -0.77
F 10.59 2.08 -0.83
F 10.40 -0.08 -0.51
F 9.84 0.54 -3.07
F 8.13 -0.17 -1.92
O 8.70 2.92 -3.53
C 9.51 3.94 -3.16
C 10.93 3.74 -3.69
F 11.46 2.60 -3.21
F 11.70 4.78 -3.27
F 9.50 4.13 -1.82
F 9.03 5.07 -3.73
H 7.26 1.63 -3.09
H 7.69 2.62 -1.74
H 9.00 1.23 0.04
H 10.92 3.71 -4.78
C -5.10 -5.28 3.71
C -6.33 -5.82 4.44
C -7.65 -5.84 3.66
F -8.01 -4.59 3.31
F -8.62 -6.36 4.46
F -6.50 -5.16 5.61
F -6.07 -7.13 4.74
O -4.75 -3.94 3.96
C -5.35 -2.94 3.25
C -6.15 -2.03 4.18
********
So much for the quantum chemistry results
seed the target device, where as co-location may not be the best seeding method to use with a 50:1, many to 1
replication model.